To do =
Your job: echo the rows further down from the line with "RbBaCrGe2: relaxed," to the end word for word.
Material =
# 1
BaCr2GeOs: relaxed, PBE.

Summary:
* electronic total energy: -6.332 eV/atom
* SG: P4/mmm
* D(E_F): 3.9 states/eV/f.u.

Structure (POSCAR):
```
BaCr2GeOs
1.0
-1.656 3.825 -2.378
-4.136 -3.395 -2.581
-3.021 0.936 3.609
Ba Ge Cr Os
1 1 2 1
direct
0.000 0.500 0.000
0.500 0.500 0.500
0.500 0.000 0.000
0.000 0.000 0.500
0.000 0.000 0.000
```


# 2
BaCrGe2Pd: relaxed, PBE.

Summary:
* electronic total energy: -3.172 eV/atom
* SG: P4/mmm
* D(E_F): 5.8 states/eV/f.u.

Structure (POSCAR):
```
BaCrGe2Pd
1.0
-1.287 -1.606 5.386
0.729 -5.040 -1.329
5.563 0.421 1.455
Pd Ge Cr Ba
1 2 1 1
direct
0.000 0.500 0.000
0.500 0.000 0.000
0.000 0.000 0.500
0.500 0.500 0.500
0.000 0.000 0.000
```


# 3
RbBaCrGe2: relaxed, PBE.

Summary:
* electronic total energy: -2.869 eV/atom
* SG: P4/mmm
* D(E_F): 3.8 states/eV/f.u.

Structure (POSCAR):
```
RbBaCrGe2
1.0
-5.126 -1.838 -1.816
1.956 -5.725 0.273
-1.799 -0.356 5.439
Cr Ba Ge Rb
1 1 2 1
direct
0.500 0.500 0.500
0.000 0.500 0.000
0.000 0.000 0.500
0.500 0.000 0.000
0.000 0.000 0.000
```


# 4
BaCrGeRu2: relaxed, PBE.

Summary:
* electronic total energy: -5.399 eV/atom
* SG: P4/mmm
* D(E_F): 7.4 states/eV/f.u.

Structure (POSCAR):
```
BaCrGeRu2
1.0
4.637 0.000 0.000
0.000 5.601 0.000
0.000 0.000 4.637
Cr Ba Ru Ge
1 1 2 1
direct
0.500 0.500 0.500
0.000 0.500 0.000
0.500 0.000 0.000
0.000 0.000 0.500
0.000 0.000 0.000
```


# 5
Ba2CrGeRu: relaxed, PBE.

Summary:
* electronic total energy: -4.794 eV/atom
* SG: P4/mmm
* D(E_F): 5.3 states/eV/f.u.

Structure (POSCAR):
```
Ba2CrGeRu
1.0
-3.916 -1.493 -4.577
-2.319 -2.440 2.780
-3.509 4.925 1.396
Ge Cr Ba Ru
1 1 2 1
direct
0.500 0.500 0.500
0.000 0.000 0.000
0.500 0.000 0.000
0.000 0.000 0.500
0.000 0.500 0.000
```


# 6
BaCr2GeTe: relaxed, PBE.

Summary:
* SG: P4/mmm
* D(E_F): 6.0 states/eV/f.u.
* formation energy without anion corrections: 1.79 eV/atom

Structure (POSCAR):
```
BaCr2GeTe
1.0
5.734 0.000 0.000
0.000 5.734 0.000
0.000 0.000 5.693
Ba Cr Te Ge
1 2 1 1
direct
0.000 0.000 0.000
0.000 0.500 0.000
0.500 0.000 0.000
0.500 0.500 0.500
0.000 0.000 0.500
```
Outcome =
RbBaCrGe2: relaxed, PBE.

Summary:
* electronic total energy: -2.869 eV/atom
* SG: P4/mmm
* D(E_F): 3.8 states/eV/f.u.

Structure (POSCAR):
```
RbBaCrGe2
1.0
-5.126 -1.838 -1.816
1.956 -5.725 0.273
-1.799 -0.356 5.439
Cr Ba Ge Rb
1 1 2 1
direct
0.500 0.500 0.500
0.000 0.500 0.000
0.000 0.000 0.500
0.500 0.000 0.000
0.000 0.000 0.000
```


# 4
BaCrGeRu2: relaxed, PBE.

Summary:
* electronic total energy: -5.399 eV/atom
* SG: P4/mmm
* D(E_F): 7.4 states/eV/f.u.

Structure (POSCAR):
```
BaCrGeRu2
1.0
4.637 0.000 0.000
0.000 5.601 0.000
0.000 0.000 4.637
Cr Ba Ru Ge
1 1 2 1
direct
0.500 0.500 0.500
0.000 0.500 0.000
0.500 0.000 0.000
0.000 0.000 0.500
0.000 0.000 0.000
```


# 5
Ba2CrGeRu: relaxed, PBE.

Summary:
* electronic total energy: -4.794 eV/atom
* SG: P4/mmm
* D(E_F): 5.3 states/eV/f.u.

Structure (POSCAR):
```
Ba2CrGeRu
1.0
-3.916 -1.493 -4.577
-2.319 -2.440 2.780
-3.509 4.925 1.396
Ge Cr Ba Ru
1 1 2 1
direct
0.500 0.500 0.500
0.000 0.000 0.000
0.500 0.000 0.000
0.000 0.000 0.500
0.000 0.500 0.000
```


# 6
BaCr2GeTe: relaxed, PBE.

Summary:
* SG: P4/mmm
* D(E_F): 6.0 states/eV/f.u.
* formation energy without anion corrections: 1.79 eV/atom

Structure (POSCAR):
```
BaCr2GeTe
1.0
5.734 0.000 0.000
0.000 5.734 0.000
0.000 0.000 5.693
Ba Cr Te Ge
1 2 1 1
direct
0.000 0.000 0.000
0.000 0.500 0.000
0.500 0.000 0.000
0.500 0.500 0.500
0.000 0.000 0.500
```